Material =
/*
A structure of composition C4H13N2S at a distorted geometry, computed with ωB97M-V/def2-TZVPD.

```
20
Properties=species:S:1:pos:R:3:forces:R:3:lowdin_charge:R:1
C 0.617 0.086 2.870 -1.1 -1.4 -2.0 -0.071
N -0.902 -0.249 -0.330 0.6 -0.6 -1.4 0.170
C -0.606 -0.205 -1.736 0.0 1.5 0.9 -0.309
C -0.148 -1.623 -2.245 -0.4 0.2 -0.2 -0.509
S -0.255 -1.548 -4.046 0.0 -0.5 0.0 0.795
C 0.258 1.456 2.280 1.5 0.1 1.3 -0.277
N 0.389 1.416 0.870 0.1 -0.6 -0.1 0.180
H -0.080 -0.580 2.336 -0.1 -0.3 0.7 0.064
H 1.559 -0.278 2.456 0.3 0.5 0.3 0.083
H -1.819 -0.660 -0.160 -0.1 0.4 0.3 0.130
H 0.226 0.487 -1.924 -0.1 -0.2 0.2 0.122
H -1.463 0.195 -2.274 -0.1 -0.6 -0.4 0.113
H 0.854 -1.875 -1.912 0.0 0.2 0.1 0.084
H -0.847 -2.330 -1.799 0.1 -0.3 -0.6 0.079
H 0.937 -0.969 -4.307 -0.2 -0.1 0.3 -0.106
H 0.987 2.154 2.720 -0.3 0.6 -0.5 0.137
H -0.727 1.831 2.590 -0.1 0.0 0.0 0.151
H 0.727 2.256 0.421 -0.4 0.6 0.0 0.118
H -0.278 0.562 0.259 0.4 -0.2 0.8 -0.042
H 0.572 -0.125 3.931 -0.2 0.6 0.1 0.086
```
Forces are in eV/Å.

## Properties
2S+1	1
max |F|	2.6	eV Å⁻¹
LUMO energy	-8.3	eV
frontier orbital gap	4.515	eV
molar mass	121.23	g/mol
DFT total energy	-667.44149	Eh
relative energy (zero: lowest compared OMol25 entry of this formula, charge and spin)	625.7	kJ/mol
net charge	+1


The molecule C5H4N2 at a distorted geometry, computed with ωB97M-V/def2-TZVPD.

```
11
Properties=species:S:1:pos:R:3:forces:R:3:lowdin_charge:R:1
C -0.834 -2.647 -0.472 0.2 0.3 0.2 0.131
C -0.363 -1.577 -0.189 -0.2 -0.6 0.1 -0.069
C 0.033 -0.236 0.058 0.2 0.0 0.1 -0.314
C 0.603 0.656 -0.813 0.3 0.1 0.5 -0.030
C 0.498 1.910 -0.163 0.2 0.0 0.1 -0.149
N -0.001 1.767 1.057 0.0 0.1 -0.2 0.031
N -0.270 0.465 1.172 -0.4 -0.1 0.4 0.012
H -1.270 -3.591 -0.704 0.1 0.1 0.0 0.030
H 1.300 0.261 -1.512 -0.2 0.4 -1.3 0.100
H 0.713 2.913 -0.522 0.2 -0.4 0.1 0.101
H -0.416 0.066 2.081 -0.5 0.1 0.1 0.159
```
Forces are in eV/Å.

## Properties
2S+1	1
max |F|	1.4	eV Å⁻¹
LUMO energy	1.0	eV
frontier orbital gap	10.022	eV
SMILES	C#Cc1ccn[nH]1
molar mass	92.10	g/mol
DFT total energy	-302.34327	Eh
relative energy (zero: lowest compared OMol25 entry of this formula, charge and spin)	223.3	kJ/mol
net charge	0


A structure of composition C4H14CsO3, computed with ωB97M-V/def2-TZVPD.

```
22
Properties=species:S:1:pos:R:3:forces:R:3:lowdin_charge:R:1
Cs 0.995 -0.186 -2.269 0.0 -0.1 0.2 1.192
C -1.082 -0.022 2.680 0.1 -0.2 0.1 -0.076
C -0.942 0.946 1.539 0.1 0.1 -0.1 -0.290
O -0.876 0.189 0.308 0.2 -0.1 -0.2 -0.174
H -1.056 0.498 3.638 0.0 0.1 -0.1 0.086
H -0.248 -0.727 2.673 -0.1 0.0 0.0 0.081
H -2.013 -0.580 2.617 0.0 0.0 0.0 0.082
H -0.027 1.538 1.644 0.0 0.0 0.0 0.102
H -1.782 1.642 1.489 -0.1 -0.1 0.0 0.121
H -1.067 0.790 -0.417 -0.3 0.2 0.2 0.029
C 2.870 2.550 0.563 -0.1 -0.1 0.1 -0.117
O 2.116 2.206 -0.608 -0.1 -0.3 -0.2 -0.241
H 3.653 3.263 0.314 0.0 0.1 0.1 0.089
H 2.177 3.006 1.263 0.0 0.0 0.0 0.082
H 3.305 1.664 1.031 0.0 0.0 -0.1 0.086
H 2.743 2.029 -1.315 0.2 0.3 0.1 0.030
C -1.566 -3.371 -2.259 -0.1 -0.3 0.1 -0.121
O -0.710 -2.481 -2.974 0.1 0.5 -0.2 -0.296
H -0.917 -3.981 -1.636 0.0 0.0 0.1 0.088
H -2.272 -2.831 -1.625 0.0 0.0 0.0 0.086
H -2.109 -4.032 -2.935 0.0 0.1 0.0 0.091
H -1.191 -2.110 -3.721 -0.2 -0.2 0.0 0.071
```
Forces are in eV/Å.

## Properties
2S+1	1
max |F|	0.5	eV Å⁻¹
LUMO energy	-3.4	eV
frontier orbital gap	10.304	eV
molar mass	243.06	g/mol
DFT total energy	-406.42956	Eh
relative energy (zero: lowest compared OMol25 entry of this formula, charge and spin)	0.0	kJ/mol
net charge	+1


The molecule C20H42O at a distorted geometry, computed with ωB97M-V/def2-TZVPD.

```
63
Properties=species:S:1:pos:R:3:forces:R:3:lowdin_charge:R:1
C 1.863 -3.604 -6.248 0.4 3.3 -2.9 -0.127
C 2.972 -2.949 -5.386 0.8 -3.9 -0.3 -0.303
C 2.634 -1.569 -4.825 6.5 0.0 -8.0 -0.278
C 1.545 -1.442 -4.002 -2.9 2.9 -0.3 -0.317
C 1.738 -2.142 -2.864 0.5 -8.5 8.7 -0.305
C 0.722 -2.033 -1.739 -2.0 2.5 0.4 -0.244
C -0.586 -2.509 -2.148 -7.5 4.5 -0.9 -0.197
C -1.909 -2.233 -1.087 16.4 4.3 6.1 -0.138
*/

What to do =
Reproduce all of the entries further up exactly.

Result =
A structure of composition C4H13N2S at a distorted geometry, computed with ωB97M-V/def2-TZVPD.

```
20
Properties=species:S:1:pos:R:3:forces:R:3:lowdin_charge:R:1
C 0.617 0.086 2.870 -1.1 -1.4 -2.0 -0.071
N -0.902 -0.249 -0.330 0.6 -0.6 -1.4 0.170
C -0.606 -0.205 -1.736 0.0 1.5 0.9 -0.309
C -0.148 -1.623 -2.245 -0.4 0.2 -0.2 -0.509
S -0.255 -1.548 -4.046 0.0 -0.5 0.0 0.795
C 0.258 1.456 2.280 1.5 0.1 1.3 -0.277
N 0.389 1.416 0.870 0.1 -0.6 -0.1 0.180
H -0.080 -0.580 2.336 -0.1 -0.3 0.7 0.064
H 1.559 -0.278 2.456 0.3 0.5 0.3 0.083
H -1.819 -0.660 -0.160 -0.1 0.4 0.3 0.130
H 0.226 0.487 -1.924 -0.1 -0.2 0.2 0.122
H -1.463 0.195 -2.274 -0.1 -0.6 -0.4 0.113
H 0.854 -1.875 -1.912 0.0 0.2 0.1 0.084
H -0.847 -2.330 -1.799 0.1 -0.3 -0.6 0.079
H 0.937 -0.969 -4.307 -0.2 -0.1 0.3 -0.106
H 0.987 2.154 2.720 -0.3 0.6 -0.5 0.137
H -0.727 1.831 2.590 -0.1 0.0 0.0 0.151
H 0.727 2.256 0.421 -0.4 0.6 0.0 0.118
H -0.278 0.562 0.259 0.4 -0.2 0.8 -0.042
H 0.572 -0.125 3.931 -0.2 0.6 0.1 0.086
```
Forces are in eV/Å.

## Properties
2S+1	1
max |F|	2.6	eV Å⁻¹
LUMO energy	-8.3	eV
frontier orbital gap	4.515	eV
molar mass	121.23	g/mol
DFT total energy	-667.44149	Eh
relative energy (zero: lowest compared OMol25 entry of this formula, charge and spin)	625.7	kJ/mol
net charge	+1


The molecule C5H4N2 at a distorted geometry, computed with ωB97M-V/def2-TZVPD.

```
11
Properties=species:S:1:pos:R:3:forces:R:3:lowdin_charge:R:1
C -0.834 -2.647 -0.472 0.2 0.3 0.2 0.131
C -0.363 -1.577 -0.189 -0.2 -0.6 0.1 -0.069
C 0.033 -0.236 0.058 0.2 0.0 0.1 -0.314
C 0.603 0.656 -0.813 0.3 0.1 0.5 -0.030
C 0.498 1.910 -0.163 0.2 0.0 0.1 -0.149
N -0.001 1.767 1.057 0.0 0.1 -0.2 0.031
N -0.270 0.465 1.172 -0.4 -0.1 0.4 0.012
H -1.270 -3.591 -0.704 0.1 0.1 0.0 0.030
H 1.300 0.261 -1.512 -0.2 0.4 -1.3 0.100
H 0.713 2.913 -0.522 0.2 -0.4 0.1 0.101
H -0.416 0.066 2.081 -0.5 0.1 0.1 0.159
```
Forces are in eV/Å.

## Properties
2S+1	1
max |F|	1.4	eV Å⁻¹
LUMO energy	1.0	eV
frontier orbital gap	10.022	eV
SMILES	C#Cc1ccn[nH]1
molar mass	92.10	g/mol
DFT total energy	-302.34327	Eh
relative energy (zero: lowest compared OMol25 entry of this formula, charge and spin)	223.3	kJ/mol
net charge	0


A structure of composition C4H14CsO3, computed with ωB97M-V/def2-TZVPD.

```
22
Properties=species:S:1:pos:R:3:forces:R:3:lowdin_charge:R:1
Cs 0.995 -0.186 -2.269 0.0 -0.1 0.2 1.192
C -1.082 -0.022 2.680 0.1 -0.2 0.1 -0.076
C -0.942 0.946 1.539 0.1 0.1 -0.1 -0.290
O -0.876 0.189 0.308 0.2 -0.1 -0.2 -0.174
H -1.056 0.498 3.638 0.0 0.1 -0.1 0.086
H -0.248 -0.727 2.673 -0.1 0.0 0.0 0.081
H -2.013 -0.580 2.617 0.0 0.0 0.0 0.082
H -0.027 1.538 1.644 0.0 0.0 0.0 0.102
H -1.782 1.642 1.489 -0.1 -0.1 0.0 0.121
H -1.067 0.790 -0.417 -0.3 0.2 0.2 0.029
C 2.870 2.550 0.563 -0.1 -0.1 0.1 -0.117
O 2.116 2.206 -0.608 -0.1 -0.3 -0.2 -0.241
H 3.653 3.263 0.314 0.0 0.1 0.1 0.089
H 2.177 3.006 1.263 0.0 0.0 0.0 0.082
H 3.305 1.664 1.031 0.0 0.0 -0.1 0.086
H 2.743 2.029 -1.315 0.2 0.3 0.1 0.030
C -1.566 -3.371 -2.259 -0.1 -0.3 0.1 -0.121
O -0.710 -2.481 -2.974 0.1 0.5 -0.2 -0.296
H -0.917 -3.981 -1.636 0.0 0.0 0.1 0.088
H -2.272 -2.831 -1.625 0.0 0.0 0.0 0.086
H -2.109 -4.032 -2.935 0.0 0.1 0.0 0.091
H -1.191 -2.110 -3.721 -0.2 -0.2 0.0 0.071
```
Forces are in eV/Å.

## Properties
2S+1	1
max |F|	0.5	eV Å⁻¹
LUMO energy	-3.4	eV
frontier orbital gap	10.304	eV
molar mass	243.06	g/mol
DFT total energy	-406.42956	Eh
relative energy (zero: lowest compared OMol25 entry of this formula, charge and spin)	0.0	kJ/mol
net charge	+1


The molecule C20H42O at a distorted geometry, computed with ωB97M-V/def2-TZVPD.

```
63
Properties=species:S:1:pos:R:3:forces:R:3:lowdin_charge:R:1
C 1.863 -3.604 -6.248 0.4 3.3 -2.9 -0.127
C 2.972 -2.949 -5.386 0.8 -3.9 -0.3 -0.303
C 2.634 -1.569 -4.825 6.5 0.0 -8.0 -0.278
C 1.545 -1.442 -4.002 -2.9 2.9 -0.3 -0.317
C 1.738 -2.142 -2.864 0.5 -8.5 8.7 -0.305
C 0.722 -2.033 -1.739 -2.0 2.5 0.4 -0.244
C -0.586 -2.509 -2.148 -7.5 4.5 -0.9 -0.197
C -1.909 -2.233 -1.087 16.4 4.3 6.1 -0.138